'''
CoBr after structural relaxation, computed with PBE-GGA.

Summary:
**ΔE to the lowest computed polymorph**: 0.65 eV/f.u.
**Uncorrected formation energy**: 211 meV per atom
**SG**: Pmmn (59)

a = 3.737 Å, b = 5.954 Å, c = 11.609 Å
α = 90.00°, β = 90.00°, γ = 90.00°
Each line ends with the local moment (μB).
Fractional coordinates of all 12 atoms:
Co  0.500  0.554  0.500  1.95
Co  0.500  0.972  0.193  1.85
Co  0.000  0.028  0.307  1.85
Co  0.000  0.446  0.000  1.95
Co  0.000  0.028  0.693  1.85
Co  0.500  0.972  0.807  1.85
Br  0.500  0.188  0.000  0.11
Br  0.000  0.700  0.164  0.09
Br  0.500  0.300  0.336  0.09
Br  0.000  0.812  0.500  0.11
Br  0.500  0.300  0.664  0.09
Br  0.000  0.700  0.836  0.09

* * * * *

Compound: CaEr2Zr3N6
Source: Alexandria via LeMat-Bulk
Functional: PBE
Structure: relaxed

Unit cell a=7.486 b=7.486 c=6.719 alpha=103.76 beta=103.76 gamma=25.66
Fractional positions:
Ca1 0.000 0.000 0.000
Er1 0.334 0.334 0.669
Er2 0.666 0.666 0.331
Zr1 0.000 0.000 0.500
Zr2 0.334 0.334 0.167
Zr3 0.666 0.666 0.833
N1 0.164 0.164 0.590
N2 0.173 0.173 0.077
N3 0.496 0.496 0.267
N4 0.504 0.504 0.733
N5 0.827 0.827 0.923
N6 0.836 0.836 0.410

Computed properties:
Calculated volume in Å³/f.u.: 158.1
DOS at the Fermi energy in states/eV/f.u.: 2.938
ΔE_f (raw) in eV/atom: -1.681
Space group: C2/m, No. 12

Compound: LiBi2Pt2
Source: Alexandria via LeMat-Bulk
Functional: PBE
Structure: relaxed

Unit cell a=4.992 b=4.471 c=10.073 alpha=90.00 beta=104.09 gamma=90.00
Fractional positions:
Li1 0.154 0.250 0.346
Li2 0.846 0.750 0.654
Bi1 0.274 0.250 0.048
Bi2 0.293 0.250 0.666
Bi3 0.707 0.750 0.334
Bi4 0.726 0.750 0.952
Pt1 0.135 0.750 0.192
Pt2 0.294 0.750 0.497
Pt3 0.706 0.250 0.503
Pt4 0.865 0.250 0.808

Computed properties:
Calculated volume in Å³/f.u.: 109.0
Energy above the most stable polymorph in this dataset in eV per atom: 0.000
DOS at the Fermi energy in states/eV/f.u.: 1.868
Calculated formation energy in eV/atom: -0.341
Space group: P2_1/m, No. 11

Compound: HgSe
Source: Alexandria via LeMat-Bulk
Functional: PBE
Structure: relaxed

Unit cell a=3.888 b=3.940 c=6.932 alpha=90.00 beta=90.00 gamma=90.00
Fractional positions:
Hg1 0.250 0.250 0.084
Hg2 0.750 0.750 0.916
Se1 0.250 0.250 0.493
Se2 0.750 0.750 0.507

Computed properties:
Calculated volume in Å³/f.u.: 53.1
DOS at the Fermi energy in states/eV/f.u.: 0.879
ΔE_f (raw) in eV/atom: 0.056
Space group: Pmmn, No. 59

Compound: CoCuPb2
Source: Alexandria via LeMat-Bulk
Functional: PBE
Structure: relaxed

Unit cell a=4.155 b=3.691 c=10.228 alpha=90.00 beta=90.00 gamma=90.00
Fractional positions:
Co1 0.000 0.000 0.000
Co2 0.000 0.500 0.500
Cu1 0.500 0.000 0.144
Cu2 0.500 0.500 0.644
Pb1 0.000 0.000 0.716
Pb2 0.000 0.500 0.216
Pb3 0.500 0.000 0.429
Pb4 0.500 0.500 0.929

Computed properties:
Calculated volume in Å³/f.u.: 78.4
Energy above the most stable polymorph in this dataset in eV per atom: 0.000
DOS at the Fermi energy in states/eV/f.u.: 4.255
Calculated formation energy in eV/atom: 0.305
Space group: Amm2, No. 38

Compound: CuPF2
Source: Alexandria via LeMat-Bulk
Functional: PBE
Structure: relaxed

Unit cell a=2.585 b=2.585 c=26.780 alpha=90.00 beta=90.00 gamma=120.00
Fractional positions:
Cu1 0.000 0.000 0.000
Cu2 0.333 0.667 0.667
Cu3 0.667 0.333 0.333
P1 0.000 0.000 0.500
P2 0.333 0.667 0.167
P3 0.667 0.333 0.833
F1 0.000 0.000 0.438
F2 0.000 0.000 0.562
F3 0.333 0.667 0.105
F4 0.333 0.667 0.228
F5 0.667 0.333 0.772
F6 0.667 0.333 0.895

Computed properties:
Calculated volume in Å³/f.u.: 51.6
Energy above the most stable polymorph in this dataset in eV per atom: 0.000
DOS at the Fermi energy in states/eV/f.u.: 0.419
ΔE_f (raw) in eV/atom: -0.926
Space group: R-3m, No. 166

Compound: Ac2SnS
Source: Alexandria via LeMat-Bulk
Functional: PBE
Structure: relaxed

Unit cell a=7.925 b=7.925 c=7.925 alpha=90.00 beta=90.00 gamma=90.00
Fractional positions:
Ac1 0.250 0.250 0.250
Ac2 0.250 0.250 0.750
Ac3 0.250 0.750 0.250
Ac4 0.250 0.750 0.750
Ac5 0.750 0.250 0.250
'''
The reader should give back the block earlier on exactly.
CoBr after structural relaxation, computed with PBE-GGA.

Summary:
**ΔE to the lowest computed polymorph**: 0.65 eV/f.u.
**Uncorrected formation energy**: 211 meV per atom
**SG**: Pmmn (59)

a = 3.737 Å, b = 5.954 Å, c = 11.609 Å
α = 90.00°, β = 90.00°, γ = 90.00°
Each line ends with the local moment (μB).
Fractional coordinates of all 12 atoms:
Co  0.500  0.554  0.500  1.95
Co  0.500  0.972  0.193  1.85
Co  0.000  0.028  0.307  1.85
Co  0.000  0.446  0.000  1.95
Co  0.000  0.028  0.693  1.85
Co  0.500  0.972  0.807  1.85
Br  0.500  0.188  0.000  0.11
Br  0.000  0.700  0.164  0.09
Br  0.500  0.300  0.336  0.09
Br  0.000  0.812  0.500  0.11
Br  0.500  0.300  0.664  0.09
Br  0.000  0.700  0.836  0.09

* * * * *

Compound: CaEr2Zr3N6
Source: Alexandria via LeMat-Bulk
Functional: PBE
Structure: relaxed

Unit cell a=7.486 b=7.486 c=6.719 alpha=103.76 beta=103.76 gamma=25.66
Fractional positions:
Ca1 0.000 0.000 0.000
Er1 0.334 0.334 0.669
Er2 0.666 0.666 0.331
Zr1 0.000 0.000 0.500
Zr2 0.334 0.334 0.167
Zr3 0.666 0.666 0.833
N1 0.164 0.164 0.590
N2 0.173 0.173 0.077
N3 0.496 0.496 0.267
N4 0.504 0.504 0.733
N5 0.827 0.827 0.923
N6 0.836 0.836 0.410

Computed properties:
Calculated volume in Å³/f.u.: 158.1
DOS at the Fermi energy in states/eV/f.u.: 2.938
ΔE_f (raw) in eV/atom: -1.681
Space group: C2/m, No. 12

Compound: LiBi2Pt2
Source: Alexandria via LeMat-Bulk
Functional: PBE
Structure: relaxed

Unit cell a=4.992 b=4.471 c=10.073 alpha=90.00 beta=104.09 gamma=90.00
Fractional positions:
Li1 0.154 0.250 0.346
Li2 0.846 0.750 0.654
Bi1 0.274 0.250 0.048
Bi2 0.293 0.250 0.666
Bi3 0.707 0.750 0.334
Bi4 0.726 0.750 0.952
Pt1 0.135 0.750 0.192
Pt2 0.294 0.750 0.497
Pt3 0.706 0.250 0.503
Pt4 0.865 0.250 0.808

Computed properties:
Calculated volume in Å³/f.u.: 109.0
Energy above the most stable polymorph in this dataset in eV per atom: 0.000
DOS at the Fermi energy in states/eV/f.u.: 1.868
Calculated formation energy in eV/atom: -0.341
Space group: P2_1/m, No. 11

Compound: HgSe
Source: Alexandria via LeMat-Bulk
Functional: PBE
Structure: relaxed

Unit cell a=3.888 b=3.940 c=6.932 alpha=90.00 beta=90.00 gamma=90.00
Fractional positions:
Hg1 0.250 0.250 0.084
Hg2 0.750 0.750 0.916
Se1 0.250 0.250 0.493
Se2 0.750 0.750 0.507

Computed properties:
Calculated volume in Å³/f.u.: 53.1
DOS at the Fermi energy in states/eV/f.u.: 0.879
ΔE_f (raw) in eV/atom: 0.056
Space group: Pmmn, No. 59

Compound: CoCuPb2
Source: Alexandria via LeMat-Bulk
Functional: PBE
Structure: relaxed

Unit cell a=4.155 b=3.691 c=10.228 alpha=90.00 beta=90.00 gamma=90.00
Fractional positions:
Co1 0.000 0.000 0.000
Co2 0.000 0.500 0.500
Cu1 0.500 0.000 0.144
Cu2 0.500 0.500 0.644
Pb1 0.000 0.000 0.716
Pb2 0.000 0.500 0.216
Pb3 0.500 0.000 0.429
Pb4 0.500 0.500 0.929

Computed properties:
Calculated volume in Å³/f.u.: 78.4
Energy above the most stable polymorph in this dataset in eV per atom: 0.000
DOS at the Fermi energy in states/eV/f.u.: 4.255
Calculated formation energy in eV/atom: 0.305
Space group: Amm2, No. 38

Compound: CuPF2
Source: Alexandria via LeMat-Bulk
Functional: PBE
Structure: relaxed

Unit cell a=2.585 b=2.585 c=26.780 alpha=90.00 beta=90.00 gamma=120.00
Fractional positions:
Cu1 0.000 0.000 0.000
Cu2 0.333 0.667 0.667
Cu3 0.667 0.333 0.333
P1 0.000 0.000 0.500
P2 0.333 0.667 0.167
P3 0.667 0.333 0.833
F1 0.000 0.000 0.438
F2 0.000 0.000 0.562
F3 0.333 0.667 0.105
F4 0.333 0.667 0.228
F5 0.667 0.333 0.772
F6 0.667 0.333 0.895

Computed properties:
Calculated volume in Å³/f.u.: 51.6
Energy above the most stable polymorph in this dataset in eV per atom: 0.000
DOS at the Fermi energy in states/eV/f.u.: 0.419
ΔE_f (raw) in eV/atom: -0.926
Space group: R-3m, No. 166

Compound: Ac2SnS
Source: Alexandria via LeMat-Bulk
Functional: PBE
Structure: relaxed

Unit cell a=7.925 b=7.925 c=7.925 alpha=90.00 beta=90.00 gamma=90.00
Fractional positions:
Ac1 0.250 0.250 0.250
Ac2 0.250 0.250 0.750
Ac3 0.250 0.750 0.250
Ac4 0.250 0.750 0.750
Ac5 0.750 0.250 0.250